We all have heard about carbohydrates even when we were in the elementary school. It is one of the basic nutrients required for proper functioning of the body. It is mainly needed for energy in the body. Most carbohydrates in the body exist in the form of polysaccharides which is also called glycan. It is called polysaccharides because it is made up of many molecules of monosaccharide that is sugars.
~~~
[1]
# C27H16Br4NO7PPdS

A molecular structure, C27H16Br4NO7PPdS in a non-equilibrium geometry (the ωB97M-V functional and the def2-TZVPD basis, the Open Molecules 2025 dataset).

Positions of all 58 atoms, in Å:
Pd  -0.89  0.25  -1.25
Br  -4.85  -5.33  -1.88
C  -3.90  -3.84  -1.16
C  -3.73  -3.71  0.20
Br  -4.40  -5.02  1.40
C  -3.03  -2.60  0.70
Br  -2.78  -2.31  2.56
C  -2.52  -1.63  -0.14
O  -1.91  -0.54  0.29
C  -2.67  -1.78  -1.55
O  -2.14  -0.86  -2.33
C  -3.38  -2.87  -2.03
Br  -3.58  -2.98  -3.92
O  0.09  3.85  -3.15
C  0.12  2.81  -2.50
O  -0.55  1.74  -2.73
C  1.06  2.70  -1.29
P  0.07  1.85  -0.03
C  0.87  2.02  1.58
C  0.14  1.66  2.72
C  0.74  1.74  3.97
C  2.06  2.16  4.09
C  2.79  2.49  2.96
C  2.20  2.40  1.70
C  -1.38  2.99  0.20
C  -2.61  2.62  -0.35
C  -3.70  3.48  -0.26
C  -3.56  4.71  0.37
C  -2.34  5.08  0.92
C  -1.26  4.22  0.83
H  1.47  3.66  -0.99
H  1.85  2.00  -1.58
H  -0.88  1.31  2.62
H  0.17  1.46  4.85
H  2.52  2.23  5.07
H  3.82  2.79  3.04
H  2.77  2.64  0.82
H  -2.66  1.64  -0.83
H  -4.64  3.18  -0.69
H  -4.41  5.37  0.44
H  -2.24  6.04  1.41
H  -0.30  4.52  1.26
O  2.17  -0.40  -2.08
C  1.89  -1.45  -1.51
N  0.71  -1.80  -0.95
S  0.83  -3.16  -0.11
O  -0.06  -4.19  -0.59
O  0.83  -2.92  1.32
C  2.49  -3.57  -0.58
C  3.27  -4.68  -0.30
C  4.55  -4.71  -0.83
C  5.03  -3.66  -1.62
C  4.23  -2.56  -1.89
C  2.95  -2.53  -1.36
H  2.88  -5.49  0.31
H  5.19  -5.57  -0.63
H  6.03  -3.72  -2.02
H  4.57  -1.73  -2.50

Its energy is -12783.54657 hartree. The largest force on an atom is 0.0243 hartree/bohr. As for the net charge: -2. For the lowest unoccupied orbital energy, the calculation gives 4.2 eV. As for the spin multiplicity: 1. The calculation puts the energy relative to the best compared isomer or geometry (same formula, charge and spin) at 10.2 kcal/mol.

---

[2]
# H6NO2PSi

H6NO2PSi in the gas phase in a non-equilibrium geometry (the ωB97M-V functional and the def2-TZVPD basis, the Open Molecules 2025 dataset).

Positions of all 11 atoms, in Å:
N  0.33  -0.15  -1.70
P  0.68  1.18  -0.61
O  -0.79  1.85  -0.78
O  0.53  0.32  0.95
Si  -0.10  -1.02  1.51
H  0.07  0.16  -2.57
~~~
There are some polysaccharides that contain just molecules of one sugar and they called homopolysaccharides or homoglycans. Typical example of homoglycans is glycogen which is composed of glucose. Starch is another example of homoglycans but it is present in plant.
Other homoglycans are :-
## Calculated molecules, as found in the file
┌──
{"formula": "C35H30Cl4FeN9O3Si", "method": "ωB97M-V with the def2-TZVPD basis set", "species": ["Fe", "Cl", "C", "C", "Cl", "C", "Cl", "C", "O", "C", "O", "C", "Cl", "C", "N", "C", "N", "C", "N", "C", "C", "C", "C", "C", "C", "C", "N", "N", "C", "O", "C", "C", "C", "C", "C", "C", "N", "C", "N", "C", "N", "C", "H", "H", "H", "H", "H", "H", "H", "H", "H", "H", "H", "H", "H", "H", "H", "H", "C", "Si", "C", "C", "N", "C", "C", "C", "C", "C", "C", "H", "H", "H", "H", "H", "H", "H", "H", "H", "H", "H", "H", "H", "H"], "positions_angstrom": [[-0.397605, 0.115219, 0.147981], [-6.197042, 2.476693, -2.442302], [-4.976902, 1.962614, -1.356913], [-5.185792, 2.124003, 0.056256], [-6.659723, 2.801707, 0.603135], [-4.229935, 1.733256, 0.956260], [-4.471778, 1.865963, 2.653692], [-2.994378, 1.185127, 0.508028], [-2.056005, 0.800223, 1.269187], [-2.801966, 0.989057, -0.920687], [-1.709414, 0.475439, -1.290007], [-3.825457, 1.397074, -1.828613], [-3.530420, 1.163176, -3.500504], [-3.707510, -3.650163, 1.966751], [-2.639475, -3.204346, 1.089193], [-2.381760, -1.954764, 0.739423], [-1.207833, -1.880724, 0.129494], [-0.808960, -3.184824, 0.101886], [-1.637448, -4.015547, 0.684679], [-3.345039, -3.439319, 3.420638], [-3.323388, -4.523951, 4.283503], [-2.989139, -4.355096, 5.621557], [-2.665618, -3.101688, 6.100373], [-2.679431, -2.004662, 5.236983], [-3.020393, -2.171709, 3.901942], [-2.342931, -0.695117, 5.801789], [-2.239031, -0.416836, 7.053607], [-1.904412, 0.922044, 7.132070], [-1.830594, 1.355202, 5.921648], [-2.098797, 0.383390, 5.009980], [-1.472763, 2.721330, 5.525414], [-1.235126, 3.626132, 6.556729], [-0.848621, 4.919067, 6.258603], [-0.681574, 5.302244, 4.939148], [-0.927696, 4.410991, 3.899604], [-0.728301, 4.955646, 2.500233], [-0.595610, 3.951737, 1.463266], [0.062871, 2.798010, 1.481505], [-0.026713, 2.212167, 0.303978], [-0.728692, 3.110402, -0.440706], [-1.101561, 4.175389, 0.225665], [-1.337507, 3.113323, 4.193384], [-3.879889, -4.703701, 1.763219], [-4.601067, -3.086526, 1.695905], [-3.058111, -1.151855, 0.949086], [0.096163, -3.512056, -0.374813], [-3.568783, -5.510363, 3.909172], [-2.972375, -5.208501, 6.285830], [-2.394046, -2.948571, 7.135471], [-3.028076, -1.304430, 3.250501], [-1.346543, 3.295230, 7.579611], [-0.661868, 5.625664, 7.055940], [-0.353653, 6.309720, 4.709701], [0.164177, 5.583764, 2.496661], [-1.569758, 5.576532, 2.194974], [0.552439, 2.400781, 2.352329], [-0.957215, 2.964003, -1.482236], [-1.546786, 2.398415, 3.406446], [4.098419, -0.476232, 1.716225], [2.274895, -0.767812, 1.401001], [2.060297, -2.627015, 1.546392], [1.337591, -0.050776, 2.883955], [1.564120, -0.157625, -0.055222], [2.142771, 0.600034, -1.070525], [3.474774, 1.055448, -1.056281], [3.999560, 1.813931, -2.090760], [3.234062, 2.147505, -3.197839], [1.928533, 1.680097, -3.252230], [1.399688, 0.921937, -2.222064], [4.367902, -0.988682, 2.643616], [4.360861, 0.576262, 1.831191], [4.712591, -0.896861, 0.917454], [2.757660, -3.037365, 2.280715], [2.254971, -3.117261, 0.591319], [1.055620, -2.889302, 1.878620], [1.520229, -0.627818, 3.794739], [0.252144, -0.058995, 2.716111], [1.644245, 0.979463, 3.082228], [4.106555, 0.818847, -0.218148], [5.029166, 2.146821, -2.027875], [3.648219, 2.738072, -4.004128], [1.312548, 1.900737, -4.116702], [0.392939, 0.535509, -2.313339]], "atomic_forces_ev_per_a": [[-0.4089, 0.7505, 0.2042], [-0.0172, 0.0056, -0.0377], [-0.0271, 0.0118, 0.1774], [0.0159, -0.0223, -0.1756], [-0.0228, 0.0060, 0.0296], [0.0990, 0.0016, 0.0580], [0.0602, 0.0100, 0.0426], [-0.1097, -0.0023, -0.0795], [0.1122, -0.3051, -0.0671], [-0.0120, 0.0424, 0.0322], [0.1338, -0.1059, -0.1204], [0.0822, -0.0284, -0.0207], [0.0018, 0.0125, 0.0008], [0.0730, 0.0501, 0.0722], [-0.0707, -0.1197, -0.1869], [0.0462, -0.0620, 0.0091], [0.0601, 0.4139, 0.4278], [0.2116, 0.1288, -0.1312], [-0.0371, 0.0066, 0.0015], [0.0104, -0.0193, 0.0137], [-0.0286, 0.0006, 0.0127], [0.0013, 0.0084, -0.0025], [0.0140, 0.0033, -0.0033], [0.0124, 0.0371, 0.0109], [-0.0068, -0.0076, 0.0069], [-0.0202, -0.0508, -0.0582], [0.0057, 0.0736, 0.0216], [-0.0071, -0.0759, 0.0190], [0.0067, 0.0527, -0.0520], [-0.0061, 0.0024, 0.0287], [-0.0128, -0.0315, -0.0256], [-0.0040, -0.0019, 0.0052], [-0.0027, 0.0022, 0.0117], [0.0012, 0.0023, -0.0010], [0.0325, -0.0319, -0.0192], [-0.0097, -0.0303, 0.0319], [0.0818, 0.0902, -0.1066], [0.0067, -0.1155, 0.0756], [-0.2344, -0.3268, -0.2713], [0.0385, 0.0640, 0.0554], [0.0760, 0.0072, 0.0250], [-0.0209, 0.0080, 0.0441], [-0.0212, 0.0095, -0.0388], [-0.0263, -0.0290, 0.0165], [0.0077, 0.0824, 0.0538], [0.0937, 0.0210, 0.0381], [0.0171, -0.0010, -0.0082], [0.0008, 0.0012, 0.0026], [-0.0105, -0.0097, 0.0034], [0.0061, -0.0029, 0.0078], [0.0008, 0.0100, -0.0001], [0.0074, -0.0012, 0.0008], [0.0008, -0.0008, -0.0032], [-0.0274, 0.0424, -0.0407], [-0.0220, -0.0107, 0.0258], [-0.0519, 0.0015, -0.0276], [-0.0017, -0.0186, -0.0165], [-0.0424, -0.0042, 0.0154], [0.0930, 0.0789, 0.0071], [-0.1684, -0.0975, -0.2082], [-0.0204, -0.0350, -0.0025], [-0.0102, -0.0166, -0.0106], [-0.0298, -0.2226, -0.0516], [0.2111, -0.1769, 0.0208], [-0.1005, 0.0878, 0.0204], [-0.0001, -0.0072, 0.0001], [0.0124, 0.0091, -0.0279], [0.0046, 0.0203, -0.0053], [-0.0325, -0.0871, 0.0328], [-0.0403, -0.0071, 0.0130], [0.0112, 0.0050, 0.0123], [0.0181, -0.0081, 0.0302], [0.0083, 0.0297, 0.0148], [0.0034, -0.0499, -0.0070], [-0.0373, -0.0694, -0.0223], [0.0302, -0.0192, -0.0196], [-0.0298, 0.0304, 0.0540], [0.0341, -0.0619, 0.0557], [0.0430, 0.0530, -0.0132], [0.0024, -0.0043, 0.0143], [-0.0011, 0.0059, 0.0040], [-0.0160, -0.0203, 0.0083], [-0.0408, 0.0184, -0.0076]], "total_charge": 0, "lumo_energy_ev": [-0.24, -2.27], "multiplicity": 2, "gap_ev": [6.5344, 4.4735]}
└──
## Back to the entry
- dextran which is used in present in blood plasma used in the treatment of shock
- pentosans which are made of arabinose or xylose gotten from nuts, woods and other plants
- fructans made of fructose (inulin is example of fructans)
- mannose present in ivory nuts, fungi, bacteria, pine trees and orchid tubers
- pectins that are available in berries and fruits
There are also other groups of polysaccharides that contain molecules of more than a sugar. These polysaccharides are called heteropolysaccharides or heteroglycans. Quite a good number of heteroglycans are associated with protein and they are made of two distinct units. They are called glycoproteins. Examples of such glycoproteins are acid mucopolysaccharides and gamma globulin present in the blood plasma. Heteroglycans can also be combined with lipids and these are called glycolipids. Examples of glycolipids are gangliosides available in the central nervous system.
The molecular structure of polysaccharides may be branched or linear (unbranched). Linear or branched polysaccharides can be packed together to give rise to a rigid structure. The branched structures are known for their solubility in water and they can also make pastes.
Polysaccharides can exhibit characteristics that are different from those of the monosaccharide from which they are built. While some are insoluble in water, some are soluble in water. There are even some that are amorphous.
Generally, the formula of polysaccharides is the same. It is given as Cx(H2O)y. X stands for a large number ranging from 200 to 250. The general formula of polysaccharides can also be given as (C6H10O5)n. This is because of the fact that six-carbon are the recurring units in polymer backbone.
There are some polysaccharides that are referred to as acidic polysaccharides. These are so called because they contain phosphate groups, carboxyl groups and sulphuric ester groups.
There is also another group of polysaccharides that are known as bacterial polysaccharides. These groups of glycans are available in macromolecules of different range. They include :-
- Lipopolysacharrides
- Peptidoglycan
- Exopolysaccharides
- Capsules
There are many other polysaccharides that are not listed here.
*It is good to note that polysaccharides can be used in some industrial applications.